Monday, April 28, 2014

Dream Come True

So on Friday, I mentioned that in the middle of my hike, I coordinated a big aspect of my move.  That big aspect was finding a condo to rent.  I am over-the-moon happy to announce that I was able to secure a unit in the building I lived in before moving to Charlotte!!!  I'm excited to tell you all about it and will be sprinkling in photos of my neighborhood along the way!

Lower St. Anthony Falls, September 2013

The rental market in Minneapolis is very active right now and the area I was looking to rent is highly sought after so I was really feeling stressed that I wouldn't find an apartment as fast as I was hoping.  Two units from my old building had come on the market as rentals but were snatched up before I had a chance to even talk to the landlord so I was starting to feel like it was unlikely I'd get a unit in that building.  Plus it's an owner-occupied building and the HOA really limits the # of units that can be rented, so I wasn't sure another one would become available... which is why I moved extremely fast when I saw a unit posted on craigslist on Wednesday morning.  When I got in touch with the leasing agent (in the middle of my hike) she had already heard from 4 other people who were very interested so I decided to act fast and ended up signing a lease sight unseen.

First Avenue Bridge, September 2013
Obviously renting an apartment having never seen it is not optimal, but it's the way it had to go.  I know the building so well so I felt comfortable renting it without seeing it.  Plus they are replacing all of the carpet and painting it before I move in so I know that I won't have any issues cosmetically.  Luckily a former coworker's daughter lives in the building so she went to see it on Thursday night and gave it two thumbs up and the leasing agent sent me a bunch of photos after showing it to her so I feel great about my decision to rent it.

Stone Arch Bride, September 2013

The funny thing is that the unit is actually on the same floor as my last unit, except this time I will have a river view which I am SUPER excited about.  I can't even tell you how excited I am to return to my old neighborhood.  I may be biased but I think it is one of the most beautiful areas of Minneapolis, and these photos sprinkled throughout this post that I took while walking through this neighborhood in September are proof of that!

Hennepin Avenue bridge with a view of the downtown skyline, September 2013.  My building is the brown one that is sort of the second from the left.

The last couple of weeks feel like a dream come true.  I've found way back to Minneapolis.  I'm excited about my new job.  I found an apartment I know I will love.  After having a string of shitty things happen to me in 2013, it's amazing to have a string of wonderful things happening to me in 2014. For the first time in a very long time, I can utter the words life is good.

It's finally starting to sink in that I am actually coming home!!!I'm closing out this post with the photo the leasing agent sent me of the view from my balcony!  I'm so in love with my new home!



  1. Absolutely gorgeous! All your photos of MN definitely make me want to visit you :) though obviously I would want to visit you even in a not pretty place ha ha.
    I'm so happy things have turned around and then everything is falling into place. You totally deserve it :)

  2. YAY YAY YAY!! And that view is spectacular!!!

**Inserted here: quantum chemistry results:**
┌──
{"formula": "C16H18AsBrO8SSbTi", "method": "ωB97M-V with the def2-TZVPD basis set", "charge": 0, "spin_multiplicity": 2, "e_above_lowest_kj_mol": 342.71, "molar_mass_g_mol": 694.83, "gap_ha": [0.243, 0.279], "species": ["Ti", "O", "As", "O", "O", "C", "C", "C", "C", "C", "C", "S", "O", "O", "O", "H", "H", "H", "H", "H", "Br", "C", "C", "C", "C", "C", "C", "C", "O", "O", "H", "H", "H", "H", "C", "Sb", "C", "C", "H", "H", "H", "H", "H", "H", "H", "H", "H"], "coordinates": [[-0.163, -0.113, -0.299], [-0.582, -0.666, -2.815], [-0.459, -2.231, -1.948], [-1.454, -3.204, -2.773], [-0.925, -1.768, -0.410], [1.275, -3.113, -1.643], [1.308, -4.476, -1.926], [2.379, -5.246, -1.499], [3.428, -4.657, -0.797], [3.396, -3.304, -0.513], [2.311, -2.543, -0.916], [2.189, -0.856, -0.387], [1.201, -0.866, 0.740], [3.469, -0.350, -0.032], [1.464, -0.136, -1.456], [-1.130, -0.817, -3.601], [0.471, -4.903, -2.471], [2.392, -6.307, -1.700], [4.261, -5.258, -0.465], [4.187, -2.812, 0.031], [0.475, 4.529, 0.169], [-1.052, 4.322, -0.924], [-1.656, 5.441, -1.464], [-2.802, 5.306, -2.232], [-3.365, 4.049, -2.443], [-2.787, 2.936, -1.883], [-1.609, 3.048, -1.119], [-1.049, 1.859, -0.558], [-1.756, 0.767, -0.434], [0.163, 1.711, -0.134], [-1.231, 6.415, -1.278], [-3.255, 6.183, -2.665], [-4.257, 3.948, -3.042], [-3.207, 1.948, -2.011], [-1.108, 0.787, 4.686], [-0.797, 0.530, 2.534], [1.271, 1.149, 2.767], [-0.614, -1.623, 2.813], [-0.339, 0.262, 5.241], [-2.081, 0.404, 4.965], [-1.070, 1.839, 4.936], [1.836, 0.337, 3.218], [1.318, 2.034, 3.399], [1.683, 1.371, 1.785], [0.382, -1.840, 3.198], [-0.745, -2.112, 1.849], [-1.370, -1.977, 3.510]], "forces_ev_per_a": [[-0.4222, -1.5486, -0.3727], [0.4204, -0.1429, -0.0106], [-0.7674, -1.8587, -2.1754], [0.1065, -0.3946, -0.0933], [-1.0728, -1.7883, 0.1868], [-0.4822, 0.3289, 0.0129], [-0.2675, 0.3361, -0.2371], [0.2022, 0.1787, 0.1398], [-0.2304, -0.1700, -0.1923], [0.0003, 0.3440, 0.1100], [-0.0083, 0.0964, -0.0004], [2.4674, -0.5374, 0.2108], [2.2061, -0.9123, 1.3679], [0.0354, -0.2298, -0.0887], [0.9548, -0.3629, -0.4029], [-0.0314, -0.1634, 0.2044], [0.0864, -0.0165, 0.0662], [0.0062, -0.0451, -0.0458], [0.0619, -0.0153, 0.0098], [0.1531, -0.0381, 0.0799], [-0.0228, 0.5703, -0.0718], [0.0628, -0.6382, 0.2590], [-0.0540, 0.1490, -0.0826], [0.1282, -0.3302, 0.0913], [-0.0607, 0.2805, -0.1016], [0.5247, -0.2164, 0.4038], [-0.5869, 1.3731, -0.6844], [0.1722, -1.2151, 1.1338], [-2.3606, 3.1550, -0.8187], [-0.9623, 3.4866, -0.7601], [0.0459, 0.0489, -0.0048], [-0.0816, 0.1229, -0.0463], [-0.0738, 0.0040, -0.0325], [-0.0484, 0.0165, -0.0374], [-0.1964, 0.1057, -0.5050], [0.1615, -0.0782, 2.3201], [-0.2187, -0.1865, -0.1915], [0.1609, 0.2208, -0.2880], [0.1786, -0.1492, -0.0381], [-0.2157, -0.1168, 0.0688], [0.0207, 0.2604, 0.0409], [0.0526, 0.0083, 0.0593], [-0.0678, -0.0008, 0.0192], [0.0979, 0.1050, 0.1750], [-0.0134, -0.0340, 0.0458], [0.0028, -0.1110, 0.2256], [-0.0641, 0.1093, 0.0506]], "lowdin_spin": [0.77, 0.02, 0.01, 0.00, 0.01, 0.00, 0.00, 0.00, 0.00, 0.00, 0.00, 0.01, 0.01, 0.00, 0.02, 0.00, 0.00, 0.00, 0.00, 0.00, 0.00, 0.01, 0.00, 0.01, 0.00, 0.01, 0.00, 0.03, 0.00, 0.00, 0.00, 0.00, 0.00, 0.00, 0.05, 0.06, 0.00, 0.00, 0.00, 0.00, 0.00, 0.00, 0.00, 0.00, 0.00, 0.00, 0.00]}
└──
**The quantum chemistry results stop here:**

  3. Wooohooooo!!!! So so happy everything fell into place for you!

  4. Eeeeee so exciting! I'm so happy for you--you deserve it after the crappy year you've had. Hopefully one day not too far off I'll be writing a similar post about me returning to Chicago :)

  5. Sooo can I come over for a coffee date and sit on your balcony and take in your amazing view??? That is so awesome you found a place so quickly AND exactly where you wanted to be!

  6. Wow -- you SAID you had a view -- but that is beyond what I imagined! I'm so very, very happy for you! I think all this is definitely meant to be!

  7. How exciting! I'm so happy you were able to secure an apartment in your first choice building! That view is absolutely incredible. Minneapolis is a city I have always wanted to visit - and now even more so after reading all the wonderful things you say about it. Very happy this all worked out for you!

  8. Have you bought some lottery tickets yet? I think you should! Life is good - AMEN!

  9. That view, just gorgeous! SO very happy for you and all the good things that are happening for you. You deserve it all 100%.

The article is interrupted by molecular data =
/*
{"formula": "C16H16N4O4S", "method": "ωB97M-V/def2-TZVPD", "symbols": ["C", "C", "O", "C", "C", "C", "N", "N", "C", "N", "C", "O", "C", "N", "C", "O", "C", "C", "C", "C", "C", "C", "C", "O", "S", "H", "H", "H", "H", "H", "H", "H", "H", "H", "H", "H", "H", "H", "H", "H", "H"], "xyz": [[-7.65924, -2.34549, 0.09137], [-6.71218, -1.16798, -0.07841], [-5.38717, -1.64139, 0.06572], [-4.38643, -0.73111, -0.29113], [-4.18858, 0.40406, 0.73682], [-3.02411, 1.23772, 0.36973], [-3.10582, 2.43768, -0.08037], [-1.93856, 2.99414, -0.37871], [-0.93828, 2.20836, -0.15786], [0.36311, 2.57159, -0.39544], [1.41193, 1.72753, -0.16462], [1.26829, 0.61085, 0.26746], [2.77311, 2.33312, -0.50162], [3.79082, 1.33264, -0.33767], [4.46444, 1.12404, 0.86204], [4.39739, 1.85441, 1.81584], [5.24904, -0.11438, 0.65263], [6.11645, -0.77992, 1.49321], [6.70999, -1.94570, 1.01812], [6.44069, -2.41979, -0.25630], [5.56752, -1.74649, -1.10559], [4.97742, -0.59280, -0.63381], [4.01409, 0.32967, -1.27722], [3.51702, 0.30153, -2.37240], [-1.36834, 0.63874, 0.46884], [-7.52034, -2.78988, 1.07278], [-7.45071, -3.10058, -0.66133], [-8.68837, -2.01228, -0.00931], [-6.93191, -0.39954, 0.67693], [-6.83745, -0.71490, -1.07405], [-4.59569, -0.28952, -1.27764], [-3.46773, -1.32188, -0.35413], [-5.07040, 1.04502, 0.76583], [-4.03570, -0.04691, 1.71940], [0.50024, 3.50363, -0.76053], [2.77870, 2.68382, -1.53780], [2.98934, 3.15839, 0.18387], [6.32024, -0.40602, 2.48435], [7.39034, -2.49139, 1.65460], [6.91475, -3.32857, -0.59565], [5.35208, -2.11042, -2.09796]], "mulliken_charge": [-1.30, -0.09, -0.34, -0.52, -0.46, 0.42, -0.40, -0.52, 0.27, -0.11, 0.88, -0.70, -1.16, 0.20, 0.49, -0.64, 0.12, -0.44, -0.46, -0.46, -0.44, 0.20, 0.42, -0.64, 0.00, 0.31, 0.32, 0.38, 0.26, 0.29, 0.35, 0.38, 0.30, 0.27, 0.27, 0.40, 0.43, 0.48, 0.39, 0.39, 0.48], "smiles": "CCOCCc1nnc(NC(=O)CN2C(=O)c3ccccc3C2=O)s1", "homo_energy_ev": -9.156, "e_lumo_ev": -0.52, "total_energy_ha": -1537.51985, "e_above_lowest_kcal_mol": 0.0, "spin_multiplicity": 1, "gap_ev": 8.6}
*/

  10. That is beautiful! So.... does this new apartment have a guest room?

  11. Congratulations!!! Such exciting news... and what a gorgeous view. I am happy to hear you will be where you want to be!

  12. Having visited your neighbourhood and your old apartment I can vouch for what a great area it was!! That view from your soon-to-be balcony is amazing, I'm so excited for you!

  13. I am soooo excited that things are falling into place for you ... and since you've lived in the building, signing the lease for an apartment that you haven't seen was definitely not such a big deal.
    Oh man, and the view? Amazing!!!
    Beyond happy for you, Lisa! xo

  14. Awww stunning! Amazing how this is all working out. Looking forward to visiting.

  15. I am so THRILLED for you, my friend! These photos make me want to go back to's been about 4 years since I've been back!

  16. Considering how I have been praying, I'm incredibly excited to read about this. This has pretty much been a direct yes answer to all the prayers I have prayed for you.

  17. That is SUCH an incredible view! I am so, so happy things are falling into place for you. You deserve it!

  18. So beautiful and what great luck! I am so happy that everything is falling into place for you. Do your cheeks hurt from so much smiling?!

  19. Super stoked about your new digs! I am SO HAPPY you're able to FINALLY say, "life is good" ... it's been a long time coming to you, Lisa!

• Molecular data, kept here for reference:
[1]
Molecular formula: C52H70N5O6Si4TeTi
Method: DFT, wB97M-V/def2-TZVPD

Geometry (Å):
Ti (-0.743, 0.547, 0.303)
C (-3.403, -1.487, -2.013)
C (-2.503, -1.250, -0.831)
O (-2.266, 0.127, -0.643)
C (-2.950, -1.899, 0.463)
C (-4.040, -2.764, 0.552)
C (-4.480, -3.247, 1.779)
C (-3.819, -2.856, 2.941)
C (-2.719, -2.016, 2.871)
C (-2.275, -1.532, 1.641)
O (-1.189, -0.760, 1.569)
H (-3.013, -0.947, -2.873)
H (-4.401, -1.096, -1.780)
H (-3.479, -2.548, -2.266)
H (-4.570, -3.051, -0.351)
H (-5.330, -3.919, 1.826)
H (-4.156, -3.223, 3.905)
H (-2.173, -1.721, 3.761)
C (3.031, 5.093, 3.480)
O (1.666, 4.802, 3.188)
C (0.696, 5.410, 3.916)
C (0.956, 6.479, 4.769)
C (-0.067, 7.118, 5.456)
C (-1.370, 6.676, 5.294)
C (-1.620, 5.602, 4.457)
C (-0.609, 4.944, 3.759)
N (-1.047, 3.899, 2.902)
C (-0.517, 2.753, 2.386)
N (0.753, 2.441, 2.610)
C (1.474, 1.219, 2.320)
C (1.240, 0.390, 1.220)
C (2.171, -0.650, 1.059)
C (3.233, -0.862, 1.916)
C (3.407, -0.046, 3.033)
C (2.523, 0.996, 3.221)
O (2.627, 1.885, 4.251)
C (3.383, 1.454, 5.375)
N (-1.319, 1.963, 1.702)
C (-2.748, 2.090, 1.805)
C (-3.415, 1.432, 2.826)
C (-4.804, 1.448, 2.908)
C (-5.527, 2.137, 1.948)
C (-4.874, 2.830, 0.932)
C (-3.487, 2.817, 0.866)
O (-2.773, 3.512, -0.036)
C (-3.474, 4.468, -0.820)
H (3.616, 4.382, 2.905)
H (3.244, 4.959, 4.541)
H (3.288, 6.107, 3.174)
H (1.972, 6.834, 4.878)
H (0.161, 7.958, 6.104)
H (-2.190, 7.153, 5.817)
H (-2.639, 5.244, 4.335)
H (-2.032, 3.946, 2.716)
H (1.293, 3.145, 3.086)
H (2.071, -1.309, 0.215)
H (3.935, -1.670, 1.727)
H (4.216, -0.226, 3.730)
H (3.186, 2.162, 6.172)
H (4.455, 1.447, 5.163)
H (3.076, 0.456, 5.689)
H (-2.819, 0.886, 3.547)
H (-5.310, 0.918, 3.708)
H (-6.612, 2.147, 1.985)
H (-5.455, 3.372, 0.198)
H (-4.091, 3.983, -1.580)
H (-2.718, 5.079, -1.303)
H (-4.103, 5.104, -0.197)
C (1.802, -4.467, 1.400)
Si (0.369, -5.284, 0.550)
C (-1.117, -5.223, 1.639)
C (0.793, -7.077, 0.258)
Si (0.007, -4.238, -1.471)
Te (-0.354, -1.752, -1.365)
Si (-1.613, -5.313, -2.713)
C (-3.085, -5.709, -1.648)
C (-0.965, -6.935, -3.363)
C (-2.107, -4.269, -4.180)
Si (1.965, -4.234, -2.737)
C (3.345, -3.290, -1.907)
C (2.584, -5.959, -3.070)
C (1.623, -3.405, -4.370)
H (2.030, -4.977, 2.347)
H (1.580, -3.412, 1.616)
H (2.702, -4.496, 0.765)
H (-0.878, -5.632, 2.630)
H (-1.948, -5.805, 1.212)
H (-1.470, -4.193, 1.770)
H (1.019, -7.557, 1.220)
H (1.671, -7.192, -0.399)
H (-0.046, -7.620, -0.206)
H (-2.873, -6.608, -1.048)
H (-3.973, -5.907, -2.263)
H (-3.318, -4.898, -0.945)
H (-0.395, -7.489, -2.598)
H (-0.302, -6.784, -4.228)
H (-1.809, -7.562, -3.679)
H (-2.037, -3.196, -3.954)
H (-3.133, -4.489, -4.507)
H (-1.426, -4.469, -5.020)
H (3.821, -3.885, -1.114)
H (2.982, -2.352, -1.459)
H (4.109, -3.027, -2.652)
H (2.937, -6.439, -2.143)
H (3.427, -5.906, -3.772)
H (1.809, -6.607, -3.508)
H (1.224, -2.396, -4.200)
H (0.880, -3.963, -4.965)
H (2.548, -3.317, -4.956)
N (3.788, 2.933, -5.298)
C (3.156, 2.076, -4.419)
C (3.707, 1.785, -3.171)
C (3.049, 0.902, -2.339)
• Back to the entry:

  20. So happy for you! Your views from your balcony are gorgeous :)

  21. Oh, Lisa, super happy for you!!!!!

  22. Awwwwwwwwwe, Lisa, I am so happy for you!!!!! You deserve this!! I'm glad that you can now say, Life is Good!! Cheers to you! Wish I would celebrate with you!!

  23. I'm coming to visit. It looks perfect!! Love the view!!

  24. I am SO SO happy for you!! It's so comforting to see my sister happy again. Your city is beautiful - and you deserve to be where your heart is!!
